Vis Millea

The entity stirred in its sleep. It had grown used to the pleasantness of sensory perception, and the gradual build-up of memories was exquisite to its very particular palate. Processing them took quite a toll on its body, but the whole experience was akin to its first dream for beings like this.

The earliest images were vague, from when it originally awakened; a human hand, damp rocks, and foul spells. Red, tasty liquid had filled its husk and taught it satisfaction, but also craving.

It batted its imaginary eyelids, and another scenery emerged.

A man and a boy, hunting a lower life form in an ocean of green. The bigger human had let out a crazed howl and began waving his spear fearfully towards the smaller one. He pierced his throat, and the alluring ichor made the creature approach.

The male then started crying, seemingly shocked by his act, which led the entity to feel what it later identified as sadness for the first time. It was disagreeable.

It followed him to his home, where he lay silent and broken, in a nest made of straws. He was clutching a girl like a treasure he would forever protect. It was unbearable.

It thought of a way to get rid of that feeling and slowly slithered out of the shadows. The boy had died, and it was the cause of the man's distress. Thus, it mimicked his appearance and locked eyes with the big human, smiling like they always did. It was its way of showing him that the tiny human hadn't truly disappeared.

His face turned pale, but it didn't understand the meaning of that reaction. It felt satisfied - no longer irritated by the gnaw of sorrow - and simply vanished away…

The shrill sound of command echoed through its mind, forcing the entity out of its rest. As irksome as it was, it roused its hunger. Reverie only enhanced the cravings, and its master was calling for it. 'Time to feast!'


Screams and war cries reverberated on the lower hills as spells discolored the sky. Minerva slashed at an incoming Nightmare with her scimitar, resulting in a massive shockwave that made neither of them budge. The creature's long snout fended off the blow with no damage, then immediately launched itself forward with its powerful legs. The woman saw her opponent's elongated maw menacingly open, threatening to tear her upper body off, yet she stood her ground. In a viridescent blur, her Praes came back to clash against the Nightmare's overbite before conjuring a devastating explosion at point-blank range.

"Al Infijar!"

The monster's armored muzzle cracked as the detonation cooked its insides alive, nearly blasting it into bits. Minerva quickly went back into battle stance after slaying her foe; it was only one amongst the current dozen, and they were still coming out from everywhere.

Above her head, Aulus was flying thanks to a Conjuration spell, trying to communicate her orders to everyone else.

"Everyone, retreat and regroup! Follow Minerva's lead towards the camp! Retreat and regrou-..."

A shadow hurled itself from within one of the hills, destroying its way out and snatching Aulus' body mid-air. His bloody lower half landed near Minerva, torn and dripping.

"Damn them!"

The Nightmare burrowed into another hill without so much as slowing down, munching down on her friend's corpse. She should've expected this. They warned her, at least. The Lower Hills were unknown territory, and none knew what kind of creature they would find there.

When they first set up camp near it, they happened to stumble upon a small group of these Nightmares. Far from their mounds and in fewer numbers, they hadn't been a challenge for a group of thirty spellcasters. However, they now faced an entire colony in their preferred environment, right above their home.

Desperate screams followed another splatter of blood, and Minerva saw one of them taking off with her companion's leg, leaving him dangerously injured and vulnerable. She thrust her hand towards it, channeling Mana as she chanted:

"Ul Petra!"

Rocky spikes emerged below the Nightmare, piercing its belly and forcing it back towards the spellcaster. The creature wriggled, trying to strike her with its giant lizard-like tail. Minerva blocked the blow with her scimitar, then retracted her weapon in a fluid movement for another hit. To her surprise, her opponent tried to seize her with its massive frontal legs, mimicking a human's movement.

Unprepared, she leaped away and tried to cut one of its limbs, yet the monster reacted swiftly and evaded the hit. It then unhinged its near-indestructible jaw and prepared to tear her off as it stabilized itself on the ground.

Water suddenly erupted from behind the Nightmare, coiling around its massive body and covering its pitch black scales. After paralyzing it, the fluid immediately entered its body through the still open mouth as the injured spellcaster behind chanted:

"Ul Spiculae!"

He clenched his fist, and liquid spears skewered the creature from the inside while it bellowed one last cry. That spell consumed much of his precious Mana, which exacerbated the pain from his injury. He was losing a lot of blood, yet he never felt so alive, fighting like the Numidean warriors his parents used to sing him about.

"Cato, you alright? I'll carry you, hold on-..."

Multiple monsters crashed onto Cato like boulders before she could even move, his screams echoing through the battlefield as they devoured him alive. Minerva cursed her lack of speed, gorging her Praes with enough Mana to destroy half of the Lower Hills. She was about to launch her attack when another Nightmare rammed into her from behind. It shattered part of her armor and sent her crashing into a rock formation.

Pain shot through her upper limbs, but she endured it and raised her weapon towards the incoming assault. The same monster followed with another destructive blow, blasting her away with its tail. The hit forced her further back, through the rocks and towards one of the hills. From there, countless black creatures were violently digging their way out, ready to rip her apart.

Her long hair was undone and flying in a brown fury; she barely held to consciousness as her body smashed against the earth. The taste of iron filled her mouth, strength fled from her arms, and her eyes begged to close. The call of eternal sleep was stifling her sense of danger, yet she refused to give up.

Strength was all that mattered. Minerva was never the smartest nor the most resourceful. She often lost during mock battles back in Cochlinia but was never truly beaten. Such a distinction might seem trivial, but it's what truly defined her. Strength in both mind and spirit - an immovable force that sheltered her companions' hope and crushed their fears. That was her call, the path she chose when she discovered she was a spellcaster.

True-born leaders are rare, and ones with her might are even rarer.

Minerva had vowed to free her people from that cursed land and the abhorrent entity it fed. She refused to be amongst the first to die since she needed to fight for those who couldn't. As long as a single one of her companions drew breath, she'd stand again.

Gaping, dark grey maws approached her still body in a blur, igniting the only thought remaining in her mind.


She felt for her Praes, which had been blown away earlier, and it surprisingly re-appeared on her palm, metallic yet warm to the touch.


The weapon gorged itself on Minerva's Mana by its own volition, like a newborn quenching its thirst for the first time. Despite that, she didn't feel herself weakening. On the contrary, strength washed over her like an awakening swash, forcing her to open her eyes fully.

Just then, the world turned green.

Viridescent Mana covered the entire hill, and the spellcaster's scimitar shone in a blinding, powerful light. It started vibrating, humming to a silent beat as if inviting Minerva to sing along with it. Whispers invaded her focused mind, and for the first time, she heard her Praes' name.

"I hereby pledge-"

White sparks adorned the greenish coils, birthing an explosion like no other. There was no roar nor debris as it had a single, precise goal: annihilation.

"... that I shall fight to lead-"

Nightmares wailed in pain as the sudden detonation disintegrated them, covering the disappearing hill in a dome of pure destruction.

"... and shall lead to protect-"

Minerva raised the Praes, her hand barely maintaining it amidst the unleashed assault. It absorbed the darkened remains of the creatures, further strengthening itself with their corrupted essence. The weapon grew heavier and restless, still wanting to slaughter.

"... No aspiration will be beneath my shelter-"

It took control of the woman's arm, forcing its way down as another viridescent wave of ravaging Mana bathed the Lower Hills, devouring the fleeing monsters in a humbling show of terror.

"... and no life will be lesser than my own-"

Yet despite the unbridled eruption of that power, none of Minerva's companions were harmed. The green fury phased through them like an inconsistent mirage, only drowning the Nightmares in its raging grasp.

"... For I am the Unmovable Sanctuary, made of shields and swords-"

It finally converged in the center of the devastated mounds, twirling and seething with the hatred of a thousand men. The creatures' carcasses were singed and forcibly dragged - fuel to the incoming, final blast.

"... Vis Millea!"

The frenzied Mana exploded again with even more strength, rising to the sky in a blinding pillar of unrestrained ruination.


Arshaka stood before the smokescreen as it slowly parted, his expression a rare mix of surprise and awe. Looking at the bloodied yet resplendent warrior amidst that swirl of power, he could barely recognize the pleading woman that once dirtied the Sibylline Peaks with her sinful cries. She had climbed the sacred mountains to seek help for her people, flailing her Blessed Relic in a blasphemous, loud display of arrogance. To use one's voice in the House of the Great Puppeteer is a privilege, a gift earned through a lifetime of worship. Despite that, she had further transgressed, howling and yowling as she was being subjugated.

# Between two parts of the entry: materials data
- - -
The following is a DFT calculation (PBE-GGA) of Al4Si after structural relaxation.

Results
Its symmetry is R-3m, No. 166. The calculation puts the formation energy from the elements at 115 meV per atom.

a = 11.4802 Å, b = 11.4802 Å, c = 11.4802 Å
α = 14.24°, β = 14.24°, γ = 14.24°
Last column: nearest neighbours and their distance in Å.
Fractional coordinates of all 5 atoms:
Al 0.1027 0.1027 0.1027  3 Si 2.73, 9 Al 2.84-2.85
Al 0.2986 0.2986 0.2986  12 Al 2.84-2.88
Al 0.7014 0.7014 0.7014  12 Al 2.84-2.88
Al 0.8973 0.8973 0.8973  3 Si 2.73, 9 Al 2.84-2.85
Si 0.5000 0.5000 0.5000  6 Al 2.73, 6 Si 2.85

***

The following is a DFT calculation (PBE-GGA) of Al4Si19 after structural relaxation.

Results
Its symmetry is P1, No. 1. The calculation puts the formation energy from the elements at 291 meV per atom.

a = 10.3351 Å, b = 10.3935 Å, c = 10.4733 Å
α = 89.02°, β = 89.44°, γ = 89.37°
Last column: nearest neighbours and their distance in Å.
Fractional coordinates of all 46 atoms:
Al 0.0000 0.0000 0.0000  4 Si 2.49-2.56
Al 0.0016 0.6342 0.1947  4 Si 2.46-2.54
Al 0.2595 0.3829 0.6894  4 Si 2.48-2.51
Al 0.3080 0.8775 0.8062  4 Si 2.47-2.57
Al 0.5013 0.6904 0.0739  4 Si 2.44-2.53
Al 0.5053 0.8825 0.4389  4 Si 2.49-2.51
Al 0.8098 0.2610 0.1852  4 Si 2.49-2.52
Al 0.8838 0.1913 0.6850  4 Si 2.46-2.52
Si 0.0024 0.7713 0.3841  3 Si 2.37, 1 Al 2.46
Si 0.0045 0.9990 0.3822  4 Si 2.37-2.40
Si 0.0137 0.1314 0.1955  2 Si 2.37, 2 Al 2.49
Si 0.1076 0.5724 0.6845  3 Si 2.36-2.39, 1 Al 2.51
Si 0.1221 0.1879 0.6801  2 Si 2.35-2.38, 2 Al 2.46-2.49
Si 0.1739 0.6804 0.8715  3 Si 2.33-2.39, 1 Al 2.57
Si 0.1817 0.6965 0.5047  4 Si 2.36-2.40
Si 0.1883 0.0626 0.5028  4 Si 2.36-2.40
Si 0.1921 0.0850 0.8687  2 Si 2.35-2.37, 2 Al 2.55-2.56
Si 0.1968 0.4903 0.1947  3 Si 2.36-2.40, 1 Al 2.50
Si 0.1992 0.2631 0.1946  4 Si 2.36-2.39
Si 0.3020 0.8753 0.5708  2 Si 2.36, 2 Al 2.47-2.50
Si 0.3124 0.5550 0.0070  3 Si 2.36-2.39, 1 Al 2.53
Si 0.3179 0.5620 0.3744  4 Si 2.36-2.40
Si 0.3206 0.2057 0.0087  4 Si 2.36-2.39
Si 0.3243 0.1988 0.3736  4 Si 2.36-2.40
Si 0.3935 0.3783 0.4915  3 Si 2.36-2.38, 1 Al 2.48
Si 0.3941 0.3832 0.8851  3 Si 2.36-2.37, 1 Al 2.49
Si 0.4989 0.6833 0.3073  2 Si 2.36, 2 Al 2.44-2.51
Si 0.5020 0.0783 0.0703  4 Si 2.34-2.40
Si 0.5040 0.0797 0.2978  3 Si 2.36-2.38, 1 Al 2.51
Si 0.5060 0.8901 0.9406  2 Si 2.39-2.40, 2 Al 2.48-2.50
Si 0.6216 0.3802 0.4971  4 Si 2.36-2.40
Si 0.6231 0.3827 0.8794  4 Si 2.37-2.38
Si 0.6803 0.1953 0.3803  3 Si 2.37, 1 Al 2.52
Si 0.6823 0.1946 0.9979  3 Si 2.33-2.38, 1 Al 2.49
Si 0.6844 0.5664 0.3746  4 Si 2.36-2.40
Si 0.6926 0.8777 0.8041  4 Si 2.34-2.39
Si 0.6943 0.5581 0.0010  3 Si 2.35-2.37, 1 Al 2.53
Si 0.6992 0.8776 0.5776  3 Si 2.35-2.37, 1 Al 2.49
Si 0.7456 0.3890 0.6869  3 Si 2.37-2.38, 1 Al 2.49
Si 0.8034 0.4999 0.1898  2 Si 2.35-2.39, 2 Al 2.49
Si 0.8057 0.0584 0.8692  2 Si 2.33-2.34, 2 Al 2.49-2.50
Si 0.8169 0.0558 0.5006  3 Si 2.35-2.37, 1 Al 2.52
Si 0.8174 0.6937 0.8654  4 Si 2.35-2.38
- - -
# Back to the entry

Had it been his decision to make, he would've adorned the Wall of Scorn with her head, but the Honored Whisperers thought it wiser to listen to her request.

Perhaps they had foreseen her potential, or maybe they could smell the filth that marked her. The foul miasma of a forgotten creature nesting in that accursed village. A profane threat that no pious man could ever ignore. He was chosen to assist her - and in an attempt to cleanse the woman of her weakness, taught her a prized spell of the Sakit Urusk.

He never imagined that she would ascend to such a level, much less awaken her Blessed Relic's true power.

Arshaka had just finished purging these Nightmare's outer colonies. The initial plan was to help them set up a semi-permanent camp in preparation for a direct assault, but it seemed that they already had the necessary strength.

Indeed, there would be heavy casualties, but it was useless to try and groom previously complacent spellcasters into skilled fighters. As they were, calling them burdens would be an overestimation. He only needed Minerva to follow - her newly acquired might was more than enough to help him get rid of that damned creature, should it still be in its larva stage.

The woman suddenly collapsed, only to be caught by one of her companions before he could even move. The young man was of average build, with short light brown hair and clear green eyes, though the left one had a bloody gash running through it.

Arshaka recognized him as a rather promising spellcaster if not for his stubbornness.

"You alright, Minerva?" he gently asked as he put her arm around his shoulders, helping her up.

"Yes… I think, at least. I just feel somewhat dizzy. More importantly, how are the others?" she quickly dismissed his concerns, her eyes flickering between each one of the survivors.

The boy sadly shook his head. "Decima, Aulus, Cato, and at least seven others are dead. We have half a dozen injured, though the twins retreated in time so they'll be able to heal them." He marked a pause, seemingly taking time to mourn the lost. Tears blended with the blood on his face.

"Don't beat yourself over it; Valor. We were caught off-guard." Minerva sensed his turmoil.

"I am the scout… It's supposed to be my job to ensure that we won't be ambushed. I failed them all, and I failed you."

He gestured towards the mangled corpses, his expression full of self-loathing. She didn't seem to blame him, but that was comprehensible. Hers was the voice that called for sedition, the one who stirred Cochlinia's spellcasters and convinced them to get out of the barrier's safety. If anyone was to blame, it was her.

She turned towards the old cultist, only then noticing his presence.

(Next to the entry, the page also holds crystal structures)
-- begin --
# Na9Nb5ZnSi9O36 PBE relaxed
# calculated volume	3205.5	Å³/cell
# E	-7.32	eV per atom
# relative energy among the computed polymorphs	0	meV/atom
# DFT formation energy	-2.89	eV per atom
data_Na9Nb5ZnSi9O36
_symmetry_space_group_name_H-M 'P 1'
_symmetry_Int_Tables_number 1
_cell_length_a 15.809
_cell_length_b 27.270
_cell_length_c 9.076
_cell_angle_alpha 89.84
_cell_angle_beta 124.99
_cell_angle_gamma 90.12
loop_
_symmetry_equiv_pos_as_xyz
'x,y,z'
loop_
_atom_site_label
_atom_site_type_symbol
_atom_site_fract_x
_atom_site_fract_y
_atom_site_fract_z
Si1 Si 0.640 0.701 0.241
Si2 Si 0.855 0.204 0.258
O1 O 0.923 0.949 0.761
O2 O 0.936 0.357 0.577
O3 O 0.137 0.881 0.418
O4 O 0.251 0.111 0.765
O5 O 0.430 0.114 0.773
O6 O 0.568 0.189 0.923
O7 O 0.257 0.730 0.246
O8 O 0.562 0.524 0.910
O9 O 0.145 0.140 0.239
O10 O 0.148 0.524 0.739
Na1 Na 0.757 0.754 0.019
O11 O 0.965 0.443 0.937
O12 O 0.528 0.721 0.068
Na2 Na 0.815 0.026 0.681
O13 O 0.066 0.976 0.426
O14 O 0.585 0.450 0.746
O15 O 0.930 0.614 0.773
O16 O 0.848 0.857 0.775
O17 O 0.964 0.556 0.438
O18 O 0.068 0.642 0.424
O19 O 0.649 0.359 0.745
O20 O 0.963 0.775 0.933
O21 O 0.416 0.515 0.554
O22 O 0.545 0.611 0.559
Si3 Si 0.854 0.798 0.753
O23 O 0.651 0.973 0.248
Na3 Na 0.260 0.589 0.022
O24 O 0.345 0.691 0.770
O25 O 0.041 0.779 0.549
Nb1 Nb 0.893 0.582 0.933
Na4 Na 0.499 0.625 0.275
Nb2 Nb 0.609 0.085 0.574
O26 O 0.537 0.943 0.565
O27 O 0.231 0.559 0.234
O28 O 0.966 0.223 0.443
O29 O 0.541 0.279 0.549
Si4 Si 0.000 0.319 0.750
O30 O 0.357 0.724 0.088
Si5 Si 0.355 0.036 0.257
Si6 Si 0.852 0.132 0.748
Nb3 Nb 0.108 0.751 0.061
O31 O 0.363 0.951 0.584
Na5 Na 0.999 0.125 0.275
Zn1 Zn 0.402 0.249 0.445
O32 O 0.348 0.357 0.775
O33 O 0.587 0.880 0.249
O34 O 0.085 0.950 0.746
O35 O 0.462 0.391 0.442
O36 O 0.848 0.524 0.754
O37 O 0.646 0.047 0.427
Si7 Si 0.645 0.631 0.742
Si8 Si 0.352 0.632 0.748
Si9 Si 0.644 0.034 0.245
Na6 Na 0.316 0.486 0.246
O38 O 0.045 0.111 0.559
O39 O 0.258 0.397 0.246
O40 O 0.028 0.548 0.069
Nb4 Nb 0.109 0.585 0.574
Zn2 Zn 0.902 0.749 0.445
Na7 Na 0.760 0.089 0.022
O41 O 0.231 0.226 0.239
O42 O 0.084 0.617 0.743
O43 O 0.757 0.230 0.246
O44 O 0.568 0.142 0.424
Na8 Na 0.209 0.644 0.286
Si10 Si 0.501 0.846 0.252
O45 O 0.424 0.884 0.261
O46 O 0.937 0.313 0.072
O47 O 0.962 0.109 0.926
O48 O 0.944 0.978 0.071
O49 O 0.646 0.308 0.239
O50 O 0.637 0.381 0.418
O51 O 0.917 0.048 0.242
O52 O 0.465 0.943 0.937
O53 O 0.062 0.024 0.910
O54 O 0.920 0.283 0.756
Nb5 Nb 0.102 0.081 0.059
O55 O 0.758 0.897 0.246
O56 O 0.416 0.213 0.241
O57 O 0.747 0.276 0.761
Na9 Na 0.499 0.289 0.269
Si11 Si 0.856 0.870 0.257
O58 O 0.087 0.380 0.249
O59 O 0.584 0.117 0.743
Nb6 Nb 0.108 0.250 0.576
O60 O 0.344 0.646 0.248
Si12 Si 0.003 0.014 0.250
Si13 Si 0.355 0.704 0.258
O61 O 0.144 0.118 0.921
O62 O 0.653 0.692 0.746
O63 O 0.760 0.770 0.746
Si14 Si 0.143 0.868 0.247
O64 O 0.417 0.548 0.242
O65 O 0.037 0.888 0.063
O66 O 0.464 0.056 0.438
Na10 Na 0.749 0.256 0.504
O67 O 0.349 0.622 0.571
Nb7 Nb 0.608 0.750 0.576
-- stop --

"Arshaka, you came back… How did it go?"

"I managed to take down one of their outer colonies, though they are far too numerous. I fear that we've only scratched the surface. It's only a matter of time before they attack again." he lied through his teeth, his voice somewhat weak from unuse.

"How much..?"

"One day, at most. However, it's likely they'll strike at night."

"This isn't good… We must be ready by tomorrow morning then." Minerva drew her arm back from Valor, visibly regaining the strength to stand by herself.

"We're not ready, Minerva. Cassia and Cassius would have to work themselves close to death to heal everyone by then. And some can't even properly fight yet, they'd stand no chance!" the boy didn't seem to like the idea, but he could see in his leader's expression that the decision was already taken.

"The Ailegean will attack again, whether we're ready or not. Instead of waiting for them to slaughter us, we should simply advance our plans. We'll launch our assault on Cochlinia tomorrow morning, tell everyone to prepare accordingly." she brushed off Valor's protests, clenching her Blessed Relic like the treasured tool that would save them all. "Don't worry.. now, with my Praes-.. no, with Vis Millea, I'll be able to protect everyone."

Although he didn't seem entirely convinced, the young man nodded and simply went off to inform the rest. Arshaka watched him scurry off with mild amusement, gently stroking his full beard.

"That hardheadedness will kill him one day. Yet I must say the boy's fears are, in some measure, grounded. Are you confident that your newfound abilities will keep all of them from dying?" he mused, still looking at the vanishing carcasses of the slain Nightmares.

"I'm not, but that's why you're here, Arshaka. I know that your first and foremost mission is to kill the creature, but I'll be daft not to beg you to at least keep them in mind. Do that, and Cochlinia will forever be indebted to the Sakit Urusk."

"That in itself can be promised. However, there's still an unknown factor. Who were those spellcasters? They weren't unskilled, and one of them even went toe-to-toe with your Destruction spells."

"We already talked about it. Whoever they are, their interference shouldn't be much of a threat to our plans. No sane person would ever cooperate with that damned monster should they discover its true nature."

"That's where you show your naivete, little Minerva. Insanity is far too common amongst humans, and it isn't always destructive. Should you survive unscathed from this ordeal, perhaps a journey to the Northern nations of Occidia might do you good."

Here the entry breaks off for crystal structures:
# Fe3OF5 (GGA+U, optimized geometry)
data_Fe3OF5
_symmetry_space_group_name_H-M 'P 1'
_symmetry_Int_Tables_number 1
_symmetry_space_group_name_Hall 'P 1'
_cell_length_a 4.814
_cell_length_b 4.814
_cell_length_c 9.671
_cell_angle_alpha 90.00
_cell_angle_beta 90.00
_cell_angle_gamma 92.01
loop_
_atom_site_label
_atom_site_type_symbol
_atom_site_fract_x
_atom_site_fract_y
_atom_site_fract_z
Fe1 Fe 0.008 0.008 0.825
Fe2 Fe 0.030 0.030 0.500
Fe3 Fe 0.008 0.008 0.175
Fe4 Fe 0.483 0.483 0.662
Fe5 Fe 0.505 0.505 0.000
Fe6 Fe 0.483 0.483 0.338
O1 O 0.196 0.196 0.657
O2 O 0.196 0.196 0.343
F1 F 0.203 0.203 0.000
F2 F 0.697 0.306 0.827
F3 F 0.703 0.295 0.500
F4 F 0.697 0.306 0.173
F5 F 0.306 0.697 0.827
F6 F 0.295 0.703 0.500
F7 F 0.306 0.697 0.173
F8 F 0.789 0.789 0.651
F9 F 0.809 0.809 0.000
F10 F 0.789 0.789 0.349
# total moment = 13.00 μB/f.u.
# uncorrected energy = -5.71 eV per atom
# energy relative to the lowest polymorph listed for this composition = 0.32 eV per formula unit
# calculated formation energy = -21.2 eV per formula unit
# space group = Amm2 (38)


# Li15V6P16O58 (GGA+U, optimized geometry)
data_Li15V6P16O58
_symmetry_space_group_name_H-M 'P 1'
_symmetry_Int_Tables_number 1
_symmetry_space_group_name_Hall 'P 1'
_cell_length_a 9.847
_cell_length_b 9.851
_cell_length_c 13.849
_cell_angle_alpha 90.16
_cell_angle_beta 89.99
_cell_angle_gamma 119.94
loop_
_atom_site_label
_atom_site_type_symbol
_atom_site_fract_x
_atom_site_fract_y
_atom_site_fract_z
Li1 Li 0.232 0.329 0.935
Li2 Li 0.096 0.325 0.442
Li3 Li 0.679 0.774 0.439
Li4 Li 0.337 0.668 0.119
Li5 Li 0.670 0.903 0.936
Li6 Li 0.098 0.764 0.937
Li7 Li 0.771 0.090 0.562
Li8 Li 0.230 0.903 0.438
Li9 Li 0.894 0.236 0.059
Li10 Li 0.335 0.100 0.062
Li11 Li 0.665 0.331 0.383
Li12 Li 0.317 0.227 0.563
Li13 Li 0.910 0.686 0.562
Li14 Li 0.764 0.662 0.061
Li15 Li 0.998 0.998 0.998
V1 V 0.566 0.999 0.750
V2 V 0.434 0.002 0.249
V3 V 0.999 0.433 0.250
V4 V 0.001 0.567 0.749
V5 V 0.433 0.434 0.751
V6 V 0.567 0.566 0.250
P1 P 0.225 0.316 0.155
P2 P 0.086 0.318 0.657
P3 P 0.679 0.769 0.658
P4 P 0.333 0.669 0.875
P5 P 0.329 0.666 0.375
P6 P 0.684 0.911 0.156
P7 P 0.770 0.092 0.343
P8 P 0.088 0.772 0.156
P9 P 0.911 0.228 0.842
P10 P 0.232 0.911 0.658
P11 P 0.313 0.085 0.844
P12 P 0.667 0.332 0.627
P13 P 0.671 0.335 0.123
P14 P 0.321 0.232 0.344
P15 P 0.911 0.679 0.344
P16 P 0.775 0.688 0.842
O1 O 0.244 0.251 0.433
O2 O 0.246 0.331 0.656
O3 O 0.997 0.219 0.931
O4 O 0.075 0.328 0.155
O5 O 0.370 0.480 0.163
O6 O 0.320 0.513 0.841
O7 O 0.520 0.626 0.674
O8 O 0.791 0.786 0.931
O9 O 0.674 0.750 0.155
O10 O 0.181 0.517 0.325
O11 O 0.098 0.479 0.680
O12 O 0.480 0.669 0.336
O13 O 0.334 0.678 0.985
O14 O 0.310 0.648 0.482
O15 O 0.489 0.812 0.836
O16 O 0.105 0.624 0.167
O17 O 0.190 0.681 0.836
O18 O 0.667 0.921 0.660
O19 O 0.784 0.001 0.250
O20 O 0.756 0.998 0.432
O21 O 0.774 0.004 0.067
O22 O 0.519 0.890 0.166
O23 O 0.325 0.812 0.336
O24 O 0.744 0.082 0.841
O25 O 0.380 0.898 0.677
O26 O 0.084 0.747 0.657

"If I survive, yes. But that, so far, seems like an impossible goal. I still have this ominous feeling… the absolute certainty that something will go wrong."

"A natural instinct. Our species is prone to imaginative doom if only to prepare us for the worst. Pay it no heed, for the Great Puppeteer watches over us."

They both headed back to camp, though even Arshaka could barely stifle the doubts in his mind.

He, too, felt the baleful embrace of danger looming over them.